Next, restate the lines further down from the line with "0.3581" to the end character by character.

<<<
# 1
A plane-wave DFT calculation with PBE was carried out for an optimized crystal structure of NiAg3Ir.

Lattice parameters (Å, degrees): 4.6266 4.6266 4.6266 90.00 90.00 90.00
Closest atoms and distances in Å follow each position.
Sites, in units of the cell vectors:
Ag  0.0000  0.5000  0.0000  2 Ni 2.31
Ag  0.5000  0.0000  0.0000  2 Ni 2.31
Ag  0.0000  0.0000  0.5000  2 Ni 2.31
Ni  0.0000  0.0000  0.0000  6 Ag 2.31
Ir  0.5000  0.5000  0.5000  12 Ag 3.27

Output
Space group   Pm-3m (221)
Energy above the most stable polymorph in this dataset   0.000 eV per atom
Final energy   -3.246 eV/atom


# 2
A plane-wave DFT calculation with PBE was carried out for an optimized crystal structure of NiAgIr2.

Lattice parameters (Å, degrees): 7.2240 7.2240 5.6705 50.43 50.43 90.00
Closest atoms and distances in Å follow each position.
Sites, in units of the cell vectors:
Ag  0.0000  0.0000  0.0000  2 Ni 2.46
Ag  0.7500  0.2500  0.5000  2 Ni 2.46
Ir  0.1770  0.6250  0.2500  2 Ni 2.38, 2 Ir 2.57
Ir  0.8750  0.8230  0.7500  2 Ni 2.38, 2 Ir 2.57
Ir  0.5730  0.1250  0.2500  2 Ni 2.38, 2 Ir 2.57
Ir  0.3750  0.4270  0.7500  2 Ni 2.38, 2 Ir 2.57
Ni  0.2500  0.7500  0.5000  4 Ir 2.38, 2 Ag 2.46
Ni  0.5000  0.5000  0.0000  4 Ir 2.38, 2 Ag 2.46

Output
Space group   I-42d (122)
Energy above the most stable polymorph in this dataset   0.571 eV per atom
Final energy   -5.849 eV/atom


# 3
A plane-wave DFT calculation with PBE was carried out for an optimized crystal structure of NiAg3Ir.

Lattice parameters (Å, degrees): 5.0303 5.0303 5.0303 90.00 90.00 90.00
Closest atoms and distances in Å follow each position.
Sites, in units of the cell vectors:
Ag  0.0000  0.0000  0.5000  2 Ir 2.52
Ag  0.5000  0.0000  0.0000  2 Ir 2.52
Ag  0.0000  0.5000  0.0000  2 Ir 2.52
Ir  0.0000  0.0000  0.0000  6 Ag 2.52
Ni  0.5000  0.5000  0.5000  12 Ag 3.56

Output
Space group   Pm-3m (221)
Energy above the most stable polymorph in this dataset   0.245 eV per atom
Final energy   -3.001 eV/atom


# 4
A plane-wave DFT calculation with PBE was carried out for an optimized crystal structure of NiAgIr2.

Lattice parameters (Å, degrees): 4.3433 4.3433 4.3433 60.00 60.00 60.00
Closest atoms and distances in Å follow each position.
Sites, in units of the cell vectors:
Ir  0.7500  0.7500  0.7500  4 Ag 2.66, 4 Ni 2.66
Ir  0.2500  0.2500  0.2500  4 Ag 2.66, 4 Ni 2.66
Ni  0.0000  0.0000  0.0000  8 Ir 2.66
Ag  0.5000  0.5000  0.5000  8 Ir 2.66

Output
Space group   Fm-3m (225)
Energy above the most stable polymorph in this dataset   0.425 eV per atom
Final energy   -5.995 eV/atom


# 5
A plane-wave DFT calculation with PBE was carried out for an optimized crystal structure of NiAgIr.

Lattice parameters (Å, degrees): 2.7389 2.7389 6.7003 90.00 90.00 120.00
Closest atoms and distances in Å follow each position.
Sites, in units of the cell vectors:
Ni  0.6667  0.3333  0.6534  3 Ir 2.53, 6 Ni 2.74, 3 Ag 2.75
Ir  0.3333  0.6667  0.3581  3 Ni 2.53, 6 Ir 2.74
Ag  0.0000  0.0000  0.9884  6 Ag 2.74, 3 Ni 2.75, 3 Ir 2.94

Output
Space group   P3m1 (156)
Energy above the most stable polymorph in this dataset   0.131 eV per atom
Final energy   -5.610 eV/atom


# 6
A plane-wave DFT calculation with PBE was carried out for an optimized crystal structure of NiAgIr3.

Lattice parameters (Å, degrees): 4.7831 4.7831 4.7831 90.00 90.00 90.00
Closest atoms and distances in Å follow each position.
Sites, in units of the cell vectors:
Ir  0.0000  0.5000  0.0000  2 Ag 2.39
Ir  0.0000  0.0000  0.5000  2 Ag 2.39
Ir  0.5000  0.0000  0.0000  2 Ag 2.39
Ni  0.5000  0.5000  0.5000  12 Ir 3.38
Ag  0.0000  0.0000  0.0000  6 Ir 2.39

Output
Space group   Pm-3m (221)
Energy above the most stable polymorph in this dataset   1.190 eV per atom
Final energy   -4.335 eV/atom


Values for ΔE_f, eV/atom, ordered as above
1.3935 0.7401 1.6384 0.5939 0.2215 2.7083

=====

# 1
DFT (PBE) results for crystalline NpBPt at its relaxed geometry.

Unit cell a=6.155 b=6.155 c=6.155 alpha=90.00 beta=90.00 gamma=90.00
>>>

Ir  0.3333  0.6667  0.3581  3 Ni 2.53, 6 Ir 2.74
Ag  0.0000  0.0000  0.9884  6 Ag 2.74, 3 Ni 2.75, 3 Ir 2.94

Output
Space group   P3m1 (156)
Energy above the most stable polymorph in this dataset   0.131 eV per atom
Final energy   -5.610 eV/atom


# 6
A plane-wave DFT calculation with PBE was carried out for an optimized crystal structure of NiAgIr3.

Lattice parameters (Å, degrees): 4.7831 4.7831 4.7831 90.00 90.00 90.00
Closest atoms and distances in Å follow each position.
Sites, in units of the cell vectors:
Ir  0.0000  0.5000  0.0000  2 Ag 2.39
Ir  0.0000  0.0000  0.5000  2 Ag 2.39
Ir  0.5000  0.0000  0.0000  2 Ag 2.39
Ni  0.5000  0.5000  0.5000  12 Ir 3.38
Ag  0.0000  0.0000  0.0000  6 Ir 2.39

Output
Space group   Pm-3m (221)
Energy above the most stable polymorph in this dataset   1.190 eV per atom
Final energy   -4.335 eV/atom


Values for ΔE_f, eV/atom, ordered as above
1.3935 0.7401 1.6384 0.5939 0.2215 2.7083

=====

# 1
DFT (PBE) results for crystalline NpBPt at its relaxed geometry.

Unit cell a=6.155 b=6.155 c=6.155 alpha=90.00 beta=90.00 gamma=90.00